Ukraine Denies One Of Its Aircraft Was Hijacked In Kabul

Was a Ukrainian evacuation aircraft hijacked in Afghanistan and taken to Iran this week? According to the country’s deputy foreign minister, Yevgeny Yenin, that’s exactly what happened. However, both Iran and Ukraine have denied any such events, saying that the one plane that did land in Iran from Kabul was just making a refueling stop.

### The piece is interrupted by materials data
~~~
1.
This entry pairs a crystal structure of Ac6Os with its calculated X-ray powder pattern. Radiation: CuKα. Structure: DFT lattice parameters and positions (PBE).
Peak positions follow from Bragg's law for the DFT cell and can differ from measured ones.

Top 10 peaks for 2θ = 10–90°, in order of rising 2θ:
- 25.7 deg, 3.461 Å, rel. 28, hkl 1 0 2
- 26.3 deg, 3.383 Å, rel. 27, hkl 4 0 0
- 28.2 deg, 3.164 Å, rel. 100, hkl 2 3 1
- 31.9 deg, 2.804 Å, rel. 38, hkl 3 0 2
- 41.8 deg, 2.159 Å, rel. 16, hkl 5 0 2
- 43.7 deg, 2.070 Å, rel. 12, hkl 0 6 0
- 43.8 deg, 2.065 Å, rel. 24, hkl 0 3 3
- 47.7 deg, 1.908 Å, rel. 27, hkl 6 3 1
- 51.9 deg, 1.763 Å, rel. 17, hkl 4 3 3
- 72.2 deg, 1.309 Å, rel. 17, hkl 8 3 3

Cell and atoms:
```
data_Ac6Os
_space_group_name_H-M_alt 'P n m a'
_space_group_IT_number 62
_space_group_name_Hall '-P 2ac 2n'
_cell_length_a 13.534
_cell_length_b 12.420
_cell_length_c 7.148
_cell_angle_alpha 90.00
_cell_angle_beta 90.00
_cell_angle_gamma 90.00
loop_
_atom_site_label
_atom_site_type_symbol
_atom_site_fract_x
_atom_site_fract_y
_atom_site_fract_z
Ac1 Ac 0.002 0.077 0.247
Ac2 Ac 0.005 0.250 0.755
Ac3 Ac 0.247 0.586 0.416
Ac4 Ac 0.250 0.250 0.409
Os1 Os 0.116 0.750 0.587
```


2.
This entry pairs a crystal structure of PrTm2Ir2 with its calculated X-ray powder pattern. Radiation: CuKα. Structure: DFT lattice parameters and positions (PBE).
Peak positions follow from Bragg's law for the DFT cell and can differ from measured ones.

Top 10 peaks for 2θ = 10–90°, in order of rising 2θ:
- 17.0 deg, 5.205 Å, rel. 36, hkl 0 0 2
- 32.1 deg, 2.786 Å, rel. 98, hkl 1 1 2
- 32.7 deg, 2.742 Å, rel. 100, hkl 0 1 3
- 35.9 deg, 2.503 Å, rel. 56, hkl 2 0 -2
- 40.3 deg, 2.236 Å, rel. 67, hkl 0 2 0
- 40.8 deg, 2.212 Å, rel. 68, hkl 2 1 1
- 41.3 deg, 2.184 Å, rel. 32, hkl 2 1 -2
- 42.1 deg, 2.146 Å, rel. 64, hkl 1 1 -4
- 48.5 deg, 1.877 Å, rel. 34, hkl 1 0 5
- 55.1 deg, 1.667 Å, rel. 39, hkl 2 2 -2

Cell and atoms:
```
data_PrTm2Ir2
_space_group_name_H-M_alt 'P 1 21/m 1'
_space_group_IT_number 11
_space_group_name_Hall '-P 2yb'
_cell_length_a 5.420
_cell_length_b 4.472
_cell_length_c 10.468
_cell_angle_alpha 90.00
_cell_angle_beta 96.01
_cell_angle_gamma 90.00
loop_
_atom_site_label
_atom_site_type_symbol
_atom_site_fract_x
_atom_site_fract_y
_atom_site_fract_z
Pr1 Pr 0.080 0.250 0.281
Tm1 Tm 0.268 0.750 0.025
Tm2 Tm 0.372 0.250 0.610
Ir1 Ir 0.158 0.750 0.470
Ir2 Ir 0.206 0.250 0.866
```

----------

Record 1
Ba2TeP2O9: theoretical powder XRD pattern (CuKα), based on the GGA-PBE geometry in Alexandria.
Lines closer than 0.1° are merged.

Peak list (10 most intense, 2θ = 10–90°, in order of rising 2θ)
d [Å], intensity
4.438, 42.3
3.967, 40.6
3.551, 59.1
3.484, 61.2
3.451, 100.0
3.368, 76.6
3.065, 40.0
2.903, 30.2
2.858, 36.0
2.125, 34.6

Cell and atoms:
a b c (Å): 7.063 7.525 9.065
angles (deg): 76.88 79.86 75.14
Sites, in units of the cell vectors:
Ba 0.100 0.383 0.243
Ba 0.369 0.805 0.417
Ba 0.631 0.195 0.583
Ba 0.900 0.617 0.757
Te 0.358 0.886 0.954
~~~

Ukrainian Il-76 Kabul evacuation
Did a Ukrainian aircraft get hijacked? Photo: Air Force Command of UA Armed Forces

Hijack accusation

Reports began to surface earlier this week that a Ukrainian aircraft was hijacked in Afghanistan on Sunday and taken to Iran. Ukraine’s deputy foreign minister Yevgeny Yenin told Russian news agency Tass that a plane was sieged by ‘armed people.’ He claimed that the plane flew to Iran with a group of passengers onboard.

The aircraft, unidentified by the minister, was undertaking an evacuation effort from the Afghan capital Kabul. He told Tass,

“Last Sunday, our plane was hijacked by other people. On Tuesday, the plane was practically stolen from us, it flew into Iran with an unidentified group of passengers onboard instead of airlifting Ukrainians. Our next three evacuation attempts were also not successful because our people could not get into the airport.”

It was unclear whether the minister had pinpointed the incident as occurring on Sunday or Tuesday, or for what reason there was a two-day gap between the events. No details were given on what eventually became of the plane or its passengers.

Ukrainian Il-76 Kabul evacuation
A Ukrainian aircraft did enter Iran, but only to refuel. Photo: Air Force Command of UA Armed Forces


Just a matter of hours after the accusations by Yenin, Iran publicly denied any such event having taken place. A Ukrainian aircraft did indeed fly to Iran in that timeframe, but had stopped in Mashhad for refueling before continuing on to Kyiv.

As well as Iran denying such claims, Yenin’s own government has come out in denial of the situation. Oleg Nikolenko, a spokesman for the Ukrainian Foreign Ministry, issued a statement that said,

“There are no captured Ukrainian planes in Kabul or elsewhere. The information about the ‘captured plane’ that is being circulated by some media outlets is not true.”

Ukrainian Il-76 Kabul evacuation
The Ukrainian Air Force has been evacuating citizens using its Il-76 military planes. Photo: Air Force Command of UA Armed Forces

According to Nikolenko, Yenin was attempting to highlight the difficulties being experienced by Ukraine in evacuating people from Kabul. It seems that his meaning was either lost in translation or somehow misinterpreted, and that all Ukraine’s evacuation aircraft are secure and accounted for.

In support of this, there has been no confirmation of any such incident by the United States or by NATO officials, who are currently in control of the airport in Kabul.


Like many other nations around the world, Ukraine has been striving to evacuate as many of its citizens from Kabul as possible. On August 16th, Ukrainian aircraft stationed in Afghanistan began to move citizens and other foreign nationals out of the country, with almost 80 people reportedly evacuated on the first flight.

Kam Air Kabul refugees
Kam Air has also been ferrying citizens to Ukraine for evacuation. Photo: Getty Images

On Sunday, August 22nd, an Il-76 military aircraft arrived in Ukraine carrying 83 passengers onboard, 31 of whom were Ukrainian citizens. In total, the nation has evacuated some 256 citizens across three rescue flights. However, more than 100 Ukrainians are thought to still be in Kabul awaiting airlift.

from Simple Flying
